• 2 months ago
Attached: materials data:
........
(1)
Computed, not measured: a geometry-optimized Y6WO12 structure at the PBE with a Hubbard U level of DFT. Values from VASP.

Summary:
Volume, Å³/cell: 265
DFT formation energy, eV per atom: -3.669
Crystal system: trigonal

```
&SYSTEM
  ibrav = 0, nat = 19, ntyp = 3
/
ATOMIC_SPECIES
O 16.00 O.upf
W 183.84 W.upf
Y 88.91 Y.upf
ATOMIC_POSITIONS crystal
O 0.1771 0.4313 0.5915
O 0.9657 0.2959 0.0772
O 0.5687 0.4085 0.8229
O 0.9228 0.0343 0.7041
O 0.5915 0.1771 0.4313
O 0.0343 0.7041 0.9228
O 0.4085 0.8229 0.5687
O 0.8229 0.5687 0.4085
O 0.7041 0.9228 0.0343
O 0.4313 0.5915 0.1771
O 0.2959 0.0772 0.9657
O 0.0772 0.9657 0.2959
W 0.0000 0.0000 0.0000
Y 0.8561 0.3895 0.6840
Y 0.1439 0.6105 0.3160
Y 0.3160 0.1439 0.6105
Y 0.6105 0.3160 0.1439
Y 0.3895 0.6840 0.8561
Y 0.6840 0.8561 0.3895
CELL_PARAMETERS angstrom
4.2412 -4.9385 0.0000
4.2412 4.9385 0.0000
-1.5091 0.0000 6.3324
```



(2)
Computed, not measured: a geometry-optimized Y2W2O9 structure at the PBE with a Hubbard U level of DFT. Values from VASP.

Summary:
Polymorph energy (0 for the lowest one), meV per atom: 43
Volume, Å³/cell: 335
DFT formation energy, eV per atom: -2.880
Crystal system: triclinic

```
&SYSTEM
  ibrav = 0, nat = 26, ntyp = 3
/
ATOMIC_SPECIES
O 16.00 O.upf
Y 88.91 Y.upf
W 183.84 W.upf
ATOMIC_POSITIONS crystal
O 0.3669 0.3582 0.6185
O 0.1821 0.5704 0.9088
O 0.0388 0.2612 0.8597
O 0.6854 0.9118 0.5431
O 0.2606 0.9371 0.1571
O 0.7394 0.0629 0.8429
O 0.5039 0.7645 0.9066
O 0.4961 0.2355 0.0934
O 0.8521 0.0698 0.2172
O 0.3288 0.5030 0.2474
O 0.9569 0.3047 0.4674
O 0.6331 0.6418 0.3815
O 0.8179 0.4296 0.0912
O 0.0431 0.6953 0.5326
O 0.6712 0.4970 0.7526
O 0.9612 0.7388 0.1403
O 0.3146 0.0882 0.4569
O 0.1479 0.9302 0.7828
Y 0.6155 0.2869 0.3750
Y 0.1532 0.2604 0.1535
Y 0.3845 0.7131 0.6250
Y 0.8468 0.7396 0.8465
W 0.1592 0.2071 0.6318
W 0.8408 0.7929 0.3682
W 0.2675 0.7362 0.0543
W 0.7325 0.2638 0.9457
CELL_PARAMETERS angstrom
6.7351 0.0000 0.0000
0.9164 7.0698 0.0000
0.7350 2.3853 7.0356
```



(3)
Computed, not measured: a geometry-optimized Y2WO6 structure at the PBE with a Hubbard U level of DFT. Values from VASP.

Summary:
Polymorph energy (0 for the lowest one), meV per atom: 121
Volume, Å³/cell: 240
DFT formation energy, eV per atom: -3.167
Crystal system: orthorhombic

```
&SYSTEM
  ibrav = 0, nat = 18, ntyp = 3
/
ATOMIC_SPECIES
Y 88.91 Y.upf
O 16.00 O.upf
W 183.84 W.upf
ATOMIC_POSITIONS crystal
Y 0.5000 0.0000 0.9954
Y 0.0000 0.0000 0.3268
Y 0.0000 0.5000 0.0046
Y 0.5000 0.5000 0.6732
O 0.7338 0.7447 0.1698
O 0.2338 0.7553 0.8302
O 0.7662 0.2447 0.8302
O 0.7677 0.0000 0.5541
O 0.2338 0.2447 0.8302
O 0.2677 0.5000 0.4459
O 0.2662 0.7447 0.1698
O 0.7323 0.5000 0.4459
O 0.2323 0.0000 0.5541
O 0.7662 0.7553 0.8302
O 0.7338 0.2553 0.1698
O 0.2662 0.2553 0.1698
W 0.0000 0.0000 0.7243
W 0.5000 0.5000 0.2757
CELL_PARAMETERS angstrom
5.3808 0.0000 0.0000
0.0000 5.4359 0.0000
0.0000 0.0000 8.2151
```



(4)
........
The entry goes on:
八点最热报 | 交通部长陆兆福今天在Prasarana国家基建公司召开新闻发布会,发表该公司2024年的业绩报告。陆兆福指出,国家基建公司在2024年的收入增长了大约5%,主要是因为乘客人数有所增加。(主播:萧慧敏)


00:00Before watching the video, let me remind you that there is more content on the Hotpoint website.
00:04Lu Zhaofu, the Minister of Transportation, held a press conference at the Prasavana National Infrastructure Company today
00:08and published the performance report of the company in 2024.
00:11Lu Zhaofu pointed out that the national infrastructure company's revenue increased by about 5% last year.
00:15He explained that the revenue of the national infrastructure company has not significantly increased.
00:19The main reason is that the public transportation ticket price has not risen,
00:22and most passengers are using My50 wireless tickets.
00:26Lu Zhaofu believes that as long as public transportation services are improved and improved,
00:30and more people choose to take public transportation,
00:33the national infrastructure company's revenue will naturally increase.
00:36When asked about the national infrastructure company's revenue goal for 2025,
00:40Lu Zhaofu replied that the national infrastructure company is not a listed company,
00:44and there is no need to explain to shareholders, so there is no need to worry too much about profit.
00:48On the contrary, public transportation services are the top priority.
00:54Lu Zhaofu, the Minister of Transportation, held a press conference at the Prasavana National Infrastructure Company today
00:57and said that the number of passengers who use public transportation will be further increased to 1.4 million.
01:03He said that the number of passengers who use public transportation and bus services
01:07operated by the national infrastructure company has increased by 24% compared to 2023.
01:12In 2024, the total ridership has increased by 24% compared to 2013.
01:20The average ridership has increased by 1.18 million people every day.
01:32Lu Zhaofu also mentioned that the number of trains operated by the national infrastructure company has increased by 21%,
01:37up to 179 trains.
01:39At the same time, the company has also successfully greatly reduced the number of railway service interruptions.
01:44In 2025, we hope to reduce the number of interruptions from 71 to a minimum.
01:53We hope that by 2026, the number of interruptions will be reduced to 1 million.
02:00This means that we do not want interruptions to occur within 1 million kilometers.
02:06Lu Zhaofu also gave passengers some good news.
02:09Starting in May this year, users of My50 will no longer have to queue at the counter every month to buy tickets.
02:17Users can purchase electronic wallets through My50, which is expected to attract 200,000 passengers.
